Sheet Mulching

-- Unrelated to this article: calculated molecules --
┌──
No. 1
Computed, not measured: one molecule with the formula C19H24N2O3 at a distorted geometry, with ωB97M-V/def2-TZVPD.

The geometry in XYZ format:
```
48
C19H24N2O3 (ωB97M-V/def2-TZVPD)
C 2.621 2.555 -1.578
C 1.133 2.639 -1.675
O 0.625 1.382 -1.260
C -0.693 1.333 -1.508
O -1.214 2.367 -1.918
C -1.313 0.073 -0.976
C -2.576 -0.189 -1.712
C -3.500 0.797 -2.068
C -4.667 0.475 -2.777
N -4.990 -0.798 -3.106
C -4.083 -1.755 -2.820
C -2.912 -1.517 -2.075
C -0.755 0.049 0.605
C 0.725 -0.200 0.880
C 1.375 0.911 1.390
C 2.617 0.812 1.993
C 3.394 -0.372 1.839
O 4.668 -0.363 2.287
C 5.490 -1.510 2.096
C 2.741 -1.518 1.320
C 1.452 -1.422 0.766
N -1.630 -0.796 1.302
C -2.962 -0.249 1.458
C -1.199 -1.797 2.293
H 3.052 3.538 -1.879
H 2.977 2.285 -0.555
H 2.961 1.766 -2.280
H 0.741 3.438 -1.041
H 0.809 2.817 -2.705
H -0.591 -0.786 -1.182
H -3.345 1.815 -1.697
H -5.414 1.237 -3.007
H -4.352 -2.778 -3.133
H -2.303 -2.366 -1.749
H -1.006 1.181 0.847
H 0.850 1.881 1.399
H 3.110 1.648 2.468
H 6.486 -1.200 2.373
H 5.162 -2.340 2.718
H 5.452 -1.818 1.056
H 3.319 -2.435 1.235
H 1.020 -2.288 0.269
H -3.580 -0.907 2.064
H -2.997 0.745 1.943
H -3.398 -0.148 0.461
H -2.073 -2.110 2.891
H -0.795 -2.667 1.731
H -0.433 -1.413 3.017
```

Properties
SMILES string = CCOC(=O)[C@H](c1ccncc1)[C@H](c1ccc(OC)cc1)N(C)C
Kohn-Sham gap = 8.59 eV
LUMO energy = 0.591 eV
Multiplicity = 1
HOMO level = -8.00 eV
Energy relative to the best compared isomer or geometry (same formula, charge and spin) = 122.9 kcal per mole

These are the Mulliken partial charges, in e, on atoms 1 to 6:
1 C -0.990
2 C -0.454
3 O -0.177
4 C -0.296
5 O -0.661
6 C 1.092

---

No. 2
Computed, not measured: C19H24N4O2PdSSe as an isolated structure at a distorted geometry, with ωB97M-V/def2-TZVPD.

The geometry in XYZ format:
```
52
C19H24N4O2PdSSe (ωB97M-V/def2-TZVPD)
Pd 0.496 -0.890 1.496
C 4.380 -2.502 2.217
C 3.219 -1.633 1.807
N 1.955 -2.176 1.742
N 1.651 -3.333 2.328
C 0.383 -3.756 2.431
N 0.223 -5.112 2.854
S -0.929 -2.699 2.082
C 3.291 -0.311 1.421
C 4.484 0.458 1.210
C 4.402 1.774 0.882
C 3.139 2.378 0.701
C 2.017 1.585 0.840
N 2.059 0.322 1.208
H 4.416 -3.419 1.616
H 4.320 -2.797 3.275
H 5.312 -1.962 2.072
H 2.396 -3.970 2.605
H 0.062 -5.144 3.863
H -0.620 -5.465 2.410
H 5.453 -0.022 1.311
H 5.305 2.365 0.746
H 3.048 3.425 0.457
H 1.023 1.985 0.651
C -2.070 1.957 3.237
C -0.987 0.938 2.811
O -0.993 0.621 1.596
O -0.204 0.517 3.675
H -2.762 2.130 2.416
H -1.585 2.892 3.513
H -2.606 1.567 4.102
C -4.653 2.303 -4.369
C -3.506 1.638 -3.653
C -2.244 2.212 -3.623
C -1.164 1.579 -3.027
C 0.179 2.239 -3.018
C -1.330 0.316 -2.440
Se 0.162 -0.657 -1.761
C -2.617 -0.244 -2.411
C -2.829 -1.564 -1.744
C -3.673 0.415 -3.016
H -4.382 3.305 -4.697
H -5.533 2.382 -3.729
H -4.939 1.727 -5.252
H -2.095 3.179 -4.095
H 0.201 3.120 -3.662
H 0.933 1.528 -3.348
└──
-- End of the calculated molecules --

lasagna-mulchSheet mulching is a means of lawn removal by creating weed barriers using organic compost, mulch, and recycled cardboard. By layering these materials appropriately, you can effectively remove your heavy water-consuming lawn and leave behind rich, fortified soil for a new productive gardening space. During these drought-conscious times, this method is a great no-dig way to remove your lawn without having to haul any material off to a landfill.

The products you will need for a safe and effective sheet mulching include Grab N’ Grow’s organic Clean Green Compost, Organic Arbor Mulch, and our recycled cardboard.

Our organic Clean Green Compost is made from clean green debris materials such as grass clippings, leaves, and brushes that landscape contractors and homeowners bring to our yard. We only accept clean green debris and all loads are inspected upon arrival in our yard. No municipal or curb-side waste is accepted. Once the materials are inspected, ground, and screened we compost them at a minimum of 131° for at least five days. Clean Green Compost is an important product for sheet mulching because it will condition your soil and break up any clay/adobe compaction that may be present beneath your existing lawn.

Mulch, specifically our homemade Organic Arbor Mulch, is the next vital ingredient you will need for an effective sheet mulching application. Arbor Mulch is OMRI listed and consists of softwoods such as pine, alder, fir, poplar, redwood, and acacia which are ground into small pieces that include “fines.” Arbor mulch is the perfect solution for moisture retention, weed suppression, and erosion control—all important components for a successful sheet mulching application.

And don’t forget the cardboard! We offer recycled cardboard rolls in the following sizes:

  • 3′ X 250′ $94.75
  • 4′ X 250′ $129.00
  • 5′ x 250′ $148.50
  • 6′ X 250′ $178.00

== Calculated molecules from another source follow ==
/*
C20H64O20 | ωB97M-V with the def2-TZVPD basis set

The total energy comes out at -62718.888 eV. The calculation puts the lowest unoccupied orbital energy at 0.2 eV. Its molar mass is 624.7 Da. As for the gap between HOMO and LUMO: 10.05 eV. Its energy above the lowest of the compared OMol25 structures with the same formula, charge and spin is 4.434 eV. For the highest occupied orbital energy, the calculation gives -9.83 eV.

Structure (ORCA input):
```
! RIJCOSX wB97M-V def2-TZVPD def2/J DEFGRID3
* xyz 0 1
C -3.22284 3.71889 4.45371
C -2.72936 3.15207 5.80732
O -2.40709 4.25132 6.71271
O -3.27538 2.73672 3.38272
H -2.50310 4.45026 4.08605
H -4.18658 4.15518 4.71630
H -1.79296 2.61273 5.66461
H -3.48832 2.45788 6.16811
H -2.43849 3.99496 7.63732
H -2.38476 2.57416 3.06340
C 0.30306 -6.30147 -3.71171
C 0.31827 -6.59394 -5.25456
O -1.00315 -6.89359 -5.73629
O -0.45185 -5.19540 -3.32478
H 1.32086 -6.06035 -3.40504
H -0.05970 -7.21067 -3.23227
H 0.97852 -7.39799 -5.57963
H 0.85802 -5.75774 -5.69903
H -1.29678 -7.67765 -5.26658
H -1.34622 -5.37554 -3.62356
C 7.11302 -4.58878 3.28913
C 6.76361 -3.42367 2.33322
O 5.51731 -2.89578 2.70521
O 8.41455 -5.09034 3.10592
H 6.40757 -5.41160 3.17332
H 7.05359 -4.26192 4.32728
H 6.68516 -3.89640 1.35420
H 7.58090 -2.70348 2.29522
H 5.58414 -2.41903 3.53578
H 8.51435 -5.84845 3.68635
C -6.46843 -1.57517 -0.31529
C -5.01284 -2.02212 -0.38828
O -4.52796 -1.94307 -1.69039
O -7.36565 -2.60115 -0.73205
H -6.69375 -0.73641 -0.97393
H -6.77347 -1.28444 0.68996
H -4.92112 -3.02348 0.03240
H -4.36099 -1.44594 0.26839
H -4.60122 -2.79982 -2.11724
H -7.06718 -2.97126 -1.56603
C -0.00434 0.44447 -7.09163
C -0.49207 -0.41019 -5.91643
O -1.64632 -1.19738 -6.23654
O 0.65358 -0.41280 -8.13308
H 0.64298 1.26476 -6.78143
H -0.83820 0.94412 -7.58468
H -0.70208 0.24961 -5.07461
H 0.33919 -1.01908 -5.56099
H -2.40283 -0.64629 -6.02299
H 1.56397 -0.57457 -7.87500
C -4.89327 2.41229 -4.53498
C -5.82576 3.58302 -4.84211
O -6.00174 3.69508 -6.23332
O -5.38747 1.06920 -4.73021
H -4.42166 2.44548 -3.55285
H -3.99047 2.52890 -5.13453
H -5.33952 4.49216 -4.48838
H -6.81777 3.49478 -4.39916
H -5.14128 3.83205 -6.63638
H -5.14587 0.54814 -3.96097
C 1.00891 0.40902 1.21857
C 0.47087 0.21430 -0.19241
O 1.33571 0.96149 -1.05892
O 0.58287 1.66341 1.73543
H 2.09602 0.35036 1.27208
H 0.60896 -0.40221 1.82689
H -0.50005 0.69677 -0.30479
H 0.36037 -0.78435 -0.61502
H 2.19184 0.53269 -1.12794
H 0.81686 2.40153 1.16794
C -0.89798 5.68789 -1.57644
C 0.39433 6.35170 -1.10893
O 1.01418 5.58262 -0.10925
O -0.59379 4.68859 -2.51487
H -1.47524 6.45648 -2.09038
H -1.43952 5.27565 -0.72504
H 0.06913 7.33503 -0.76923
H 1.12126 6.49778 -1.90789
H 1.89800 5.92055 0.05289
H 0.12367 4.15113 -2.17135
C 2.88742 4.54416 6.36239
O 4.10383 3.92256 6.63718
H 2.91722 5.46774 5.78427
H 2.20794 3.97129 5.73135
H 2.34800 4.86857 7.25227
H 4.70835 4.64030 6.83966
C -2.31946 -3.53676 4.47953
O -1.45677 -3.22166 5.53753
H -2.08339 -3.17832 3.47758
H -2.41064 -4.61779 4.37397
*/
== Back to the entry ==

Why is thinking about sheet mulching so important right now? Sure, manicured lawns look attractive in the summertime and provide a play space for children. However, the problem is that lawns on average use up to 80% more water than low-water-use plants or drip-irrigation systems. By removing unproductive, thirsty lawns and reusing the space for a productive vegetable garden or drought-tolerant native plant garden you can conserve our precious water resources AND save money on your next utility bill!

To help make this an even better money and water saving opportunity, the City of Santa Rosa and the City of Sonoma are offering a drought-special rebate program for homeowners and businesses who remove their turf or upgrade to a more efficient irrigation system.

Santa Rosa residents click here to learn how you can participate in your city’s lawn removal rebate program.